Rheumatoid arthritis
Rheumatoid arthritis (RA) RA is the most common inflammatory arthritis characterized by symmetrical and deforming of the small and large joint polyarthritis associated with systemic disturbance and extra-articular manifestations with intermittent exacerbations and remissions The prevalence increases with age , more in female 3:1 male , the RA is uncommon in men under the age of 45, where there is a 6: 1 female excess
Aetiology No single factor has been identified to date Genetic susceptibility is important HLA –DR 4 occurring in 50- 75% of Caucasian patients compared to 20 – 25 % of normal population Female gender is a risk factor No infectious agent has been isolated Presence of immune complexes at site of articular and extra articular lesion
Pathology Swelling and congestion of the synovial membrane due to infiltration of lymphocyte , plasma cell and macrophage with effusion of synovial fluid in the joint place Hypertrophy of the synovial membrane Inflammatory granulation tissue (pannus ) spread over and under the articular cartilage which is progressively eroded and destroyed
Later , fibrosis and bony ankylosis may occur Muscle atrophy with focal infiltration with lymphocyte Subcutaneous nodules consist of central area of fibrinoid material surrounded by palisade of mononuclear cell , similar granulation lesion may occur in the pleura , lung, pericardium and sclera
Attached: records of crystals =
+++
No. 1
## Li8Fe7O15 (GGA+U)

Data for crystalline Li8Fe7O15 at its relaxed geometry.

Computed properties:
ΔE to the lowest computed polymorph in eV/atom: 0.000

Cell and atoms, written as extended XYZ:
```
30
Lattice="10.715 -1.504 0.000 10.715 1.504 0.000 -1.508 0.000 8.412" Properties=species:S:1:pos:R:3 pbc="T T T"
Li 0.362 0.000 1.970
Li 1.072 0.000 5.861
Li 3.298 0.000 1.446
Li 4.084 0.000 5.292
Li 15.838 0.000 3.121
Li 16.623 0.000 6.967
Li 18.850 0.000 2.551
Li 19.560 0.000 6.443
Fe 6.260 0.000 0.967
Fe 6.928 0.000 4.808
Fe 9.227 0.000 0.288
Fe 9.961 0.000 4.206
Fe 10.695 0.000 8.125
Fe 12.994 0.000 3.605
Fe 13.661 0.000 7.445
O 0.000 0.000 0.000
O 0.680 0.000 3.923
O 1.430 0.000 7.855
O 3.535 0.000 3.381
O 4.303 0.000 7.369
O 6.644 0.000 2.829
O 7.374 0.000 6.775
O 9.592 0.000 2.225
O 10.330 0.000 6.187
O 12.548 0.000 1.637
O 13.278 0.000 5.583
O 15.619 0.000 1.044
O 16.387 0.000 5.032
O 18.492 0.000 0.558
O 19.242 0.000 4.489
```

No. 2
## MgV2Co2O8 (GGA+U)

Data for crystalline MgV2Co2O8 at its relaxed geometry.

Computed properties:
ΔE to the lowest computed polymorph in eV/atom: 0.218

Cell and atoms, written as extended XYZ:
```
13
Lattice="4.454 -2.849 0.000 4.454 2.849 0.000 -0.500 0.000 6.299" Properties=species:S:1:pos:R:3 pbc="T T T"
Mg 0.000 0.000 0.000
V 1.130 0.000 4.402
V 7.277 0.000 1.897
Co 4.454 0.000 0.000
Co 4.204 0.000 3.149
O 4.017 1.500 1.549
O 2.169 0.000 3.071
O 4.390 1.500 4.750
O 1.994 0.000 5.868
O 6.413 0.000 0.431
O 4.017 -1.500 1.549
O 6.238 0.000 3.228
O 4.390 -1.500 4.750
```

No. 3
## K2MnSe2O6 (GGA+U)

Data for crystalline K2MnSe2O6 at its relaxed geometry.

Cell and atoms, written as extended XYZ:
```
44
Lattice="-5.287 -4.755 0.855 0.028 -2.359 8.854 -7.280 8.508 2.289" Properties=species:S:1:pos:R:3 pbc="T T T"
K -5.703 1.933 3.211
K -10.153 0.503 8.638
K -2.063 -2.321 2.066
K -6.513 -3.751 7.493
K -6.837 -0.538 8.787
K -6.027 5.145 4.505
K -3.197 -4.792 7.643
K -2.387 0.891 3.361
Mn -3.640 4.254 1.145
Mn -8.090 2.824 6.571
Mn 0.000 0.000 0.000
Mn -4.450 -1.430 5.427
Se -4.980 1.551 6.927
Se -9.457 2.480 3.501
Se -1.340 -2.703 5.783
Se -5.817 -1.774 2.356
Se -7.560 -0.157 5.071
Se -6.722 3.168 9.642
Se -3.920 -4.411 3.926
Se -3.082 -1.086 8.498
O -8.402 0.602 6.377
O -7.565 3.926 10.949
O -4.762 -3.652 5.233
O -3.925 -0.327 9.804
O -6.666 -1.428 5.831
O -5.828 1.897 10.403
O -10.306 2.826 6.976
O -2.188 -2.357 9.258
O -8.802 -0.985 4.197
O -7.964 2.340 8.768
O -5.162 -5.238 3.052
O -4.324 -1.913 7.623
O -3.738 2.379 7.802
O -8.215 3.308 4.375
O -0.098 -1.875 6.657
O -4.575 -0.946 3.230
O -4.137 0.793 5.621
O -8.615 1.722 2.194
O -7.777 5.046 6.765
O -4.975 -2.532 1.049
O -5.874 2.822 6.167
O -10.351 3.751 2.740
O -2.234 -1.432 5.022
O -6.711 -0.503 1.595
```

No. 4
## MgV2Mo2O10 (GGA+U)

Data for crystalline MgV2Mo2O10 at its relaxed geometry.

Cell and atoms, written as extended XYZ:
```
15
Lattice="6.611 0.000 0.000 0.000 6.611 0.000 0.000 0.000 5.793" Properties=species:S:1:pos:R:3 pbc="T T T"
+++
Clinical features Gradual onset of symmetrical arthralgia and synovitis of the small joints of the hands , feet and wrists . 10 % acute onset 5 % palindromic with recurrent symmetrical acute episodes of J. pain and swelling which last only for few hours or days Moring stiffness more than 1 hour Symmetrical swelling of the MCP and PIP J
Deformities of R.A Specific hand abnormalities include Swan neck deformity , the boutonniere or button hole deformity and Z deformity of the thumb , triggering of fingers and dorsal sublaxations of the ulnar styloid In the fore foot dorsal sublaxation of the MTP J result in cock up deformity , callosities over the MTP head In the hind foot , calcaneovalgus ( eversion ) deformity reflecting damage to the ankle and subtalar J .
Popliteal cyst ( Baker’s ) can occur in combination with knee synovitis and sometimes complicated by rupture which induced by knee flexion lead calf pain and swelling Extra – articular features : anorexia , weight loss and fatigue Generalized osteoporosis and muscle wasting These features occur mainly in sero positive erosive disease especially in men
Cutaneous features : subcutaneous nodules occur in sero positive patients at site of pressure or friction such as extensor surface of the forearm , sacrum , Achilles' tendon and toes Systemic rheumatoid vasculitis in form of nail fold infarct , cutaneous ulceration with skin necrosis
Extra-articular manifestations Occular features Dry eye ( keratoconjunctivitis sicca ) Painless episcleritis ( intense redness , no visual disturbance ) Scleritis ( more serious and sight threatening ) the eyes are red and painful , pupil was irregular due to adhesion ( synechiae ) Corneal melting associated with systemic vasculitis may progress to perforation
Cardiovascular features Asymptomatic pericarditis in 30 % Pericardial effusion , constrictive pericarditis Heart block , cardiomyopathy , coronary artery occlusion or aortic regurgitation
Pulmonary features Fibrosing alveolitis Pleural effusion especially in the men with sero positive , usually small , unilateral and resolved spontineously Rh pulmonary nodule sub pleural and usually multiple , combination of Rh. Nodule and pneumoconiosis is known as Kaplan’s syndrome Bronchitis and Bronchiectasis
Neurological features Entrapment neuropathy (median nerve compression ) , ulnar nerve compression at the elbow , lateral popliteal nerve at the head of the fibula , tarsal tunnel syndrome Symmetrical peripheral neuropathy Mono neuritis multiplex Cervical cord compression result from sublaxation of the cervical spine at the atlanto – axial J or at sub axial level
Haematological features Microcytic iron deficiency anemia due to NSAID Normochromic normocitic anemia , thrombosis due to active disease Felty’s syndrome (spleanomegally , lymphadenopathy , neutropenia , weight loss , skin pegmintation , K C Sicca Long standing deforming sero positive RA Lymphadenopathy localized or generalized due to lymphoma in long standing disease Amyloidosis is a rare complication
Investigations 1- Clinical criteria : Morning stiffness >1 hr Arthritis of 3 or more Js. Arthritis of hand Js . Symmetrical arthritis Rh. Nodules Rh. Factor Radiological features Duration of 6 weeks or more ** Dx of RA is made of four or more criteria
2) Elevated acute phase protein 3) Rh.F present in 60-80 % ( 10 % of normal population ) 4 ) radiographs shows : periarticular osteopenia Marginal non – proliferative erosions
Management Physical rest Passive exercise in acute RA Hospital admission in severe condition ( patient needs intra articular injection , J. splinting , regular hydrotherapy and physiotherapy NSAIDS Prednisolone 7.5 mg /day DMARDS ( single or in combination , used early before radiological changes appears Methotrexate and Sulfasalazine are current first choice
Surgery Synovectomy to relieve pain and prevent tendon rupture Osteotomy Arthrodesis Arthroplasty
Prognosis 5 years survival for the patient with severe disease is 50 % 40 % disabled within 3 years 80 % will be moderately to severely disabled within 20 years and 25 % require large J. replacement
Poor prognosis factors Higher baseline disability Female gender Involvement of the MTP +ve Rh F Disease duration of over 3 months
MCP & PIP arthritis
PIP arthritis
MCP arthritis & wasting of extensor ms.
Wrist & PIP arthritis
Z-deformity & MCP arthritis
Wrist , MCP & PIP arthritis
Ulnar deviation & Z deformity
Swan neck deformity
MCP arthritis , ulnar deviation
Wasting of extensor ms
Piano – glass deformity
Rheumatoid nodules - elbow
Rheumatoid nodules –dorsum of hand
Osteopenia & dec J. space
Soft tissue swelling
Sclerosis and dec j. space
Joint erosion
Bilateral ulnar deviation of PIP J.
Ulnar deviation of PIP J.